Hello users of hexbear the mod team wanted to make this post as the past couple weeks of federation have been quite eventful.

First off, I want to apologize to any hardship, stress, discomfort, alienation, or any negativity users have experienced as a result of federation. I want to especially extend apologies to marginalized comrades and those that have voiced their disapproval, disagreement, or concern about federation.

Someone pasted calculated crystals at this point
<<<
No. 1
A relaxed Na4CuSb3S8 crystal. Source: Alexandria, functional GGA-PBE.

a b c (Å): 7.627 8.093 7.845
angles (deg): 118.40 119.08 90.00
Last column: magnetic moment on the atom in μB.
Atoms (fractional coordinates):
Na 0.500 0.000 0.000  0.00
Na 0.500 0.000 0.500  0.00
Na 0.000 0.000 0.000  0.00
Na 0.000 0.000 0.500  0.00
Cu 0.000 0.500 0.000  0.30
Sb 0.500 0.500 0.000  0.01
Sb 0.500 0.500 0.500  0.00
Sb 0.000 0.500 0.500  0.00
S 0.211 0.702 0.982  0.08
S 0.266 0.750 0.532  0.02
S 0.259 0.267 0.518  0.01
S 0.771 0.702 0.982  0.08
S 0.229 0.298 0.018  0.08
S 0.741 0.733 0.482  0.01
S 0.734 0.250 0.468  0.02
S 0.789 0.298 0.018  0.08

Properties
ΔE_f (raw) ... -0.55 eV/atom



No. 2
A relaxed YTh2Co crystal. Source: Alexandria, functional GGA-PBE.

a b c (Å): 3.739 3.739 10.296
angles (deg): 79.54 79.54 60.00
Atoms (fractional coordinates):
Y 0.000 0.000 0.000
Co 0.500 0.500 0.500
Th 0.113 0.113 0.660
Th 0.887 0.887 0.340

Properties
E_tot ... -27.92 eV per formula unit



Density, record by record: 3.64 8.34 Mg/m³
>>>
The calculated crystals stop here

Second, in every vote based discussion we have had on federation, the votes for federation and votes for federation with large instances have trended to be near-overwhelming majorities. In the spirit of operating the site in accordance with the desires of most users, we have gone with these decisions.

Third, I want to remind everyone that you are able to set your default feed in your user settings. This is an important tool, as setting your feed to Local prevents posts from federated instances from showing on your feed. You may further curate your feed by setting it to Subscribed, and ensuring that you are only subscribed to communities you wish to see posts from. The Subscribed feed allows you to for example unsubscribe from the_dunk_tank while subscribing to all the other hexbear communities, preventing you from seeing federated instance posts as well as the_dunk_tank posts mentioning other federated instances.

We are now federated with two instances with more than 200 daily active users:



**Misplaced data records:**
/*
Y2ZnCuSe: optimized geometry, GGA-PBEsol.

a b c (Å): 5.315 5.315 4.351
angles (deg): 90.00 90.00 90.00
Atoms (fractional coordinates):
Y 0.000 0.500 0.000
Y 0.500 0.000 0.000
Zn 0.000 0.000 0.500
Cu 0.500 0.500 0.500
Se 0.500 0.500 0.000

Computed properties:
- VASP energy: -4.93 eV per atom
- Formation energy (no corrections): -247 meV per atom



CaSi2Os: optimized geometry, GGA-PBEsol.

a b c (Å): 6.242 6.242 6.242
angles (deg): 90.00 90.00 90.00
Atoms (fractional coordinates):
Ca 0.000 0.000 0.000
Ca 0.000 0.500 0.500
Ca 0.500 0.000 0.500
Ca 0.500 0.500 0.000
Si 0.250 0.250 0.250
Si 0.250 0.250 0.750
Si 0.250 0.750 0.250
Si 0.250 0.750 0.750
Si 0.750 0.250 0.250
Si 0.750 0.250 0.750
Si 0.750 0.750 0.250
Si 0.750 0.750 0.750
Os 0.000 0.000 0.500
Os 0.000 0.500 0.000
Os 0.500 0.000 0.000
Os 0.500 0.500 0.500

Computed properties:
- VASP energy: -6.60 eV per atom
- Formation energy (no corrections): -141 meV per atom



InSb2MoI: optimized geometry, GGA-PBEsol.

a b c (Å): 5.126 5.126 5.895
angles (deg): 90.00 90.00 90.00
Atoms (fractional coordinates):
In 0.000 0.000 0.000
Sb 0.000 0.500 0.500
Sb 0.500 0.000 0.500
Mo 0.500 0.500 0.500
I 0.500 0.500 0.000

Computed properties:
- VASP energy: -4.71 eV per atom
- Formation energy (no corrections): 414 meV per atom



CsNa3Hf: optimized geometry, GGA-PBEsol.

a b c (Å): 6.347 6.347 6.347
angles (deg): 90.00 90.00 90.00
Atoms (fractional coordinates):
Cs 0.000 0.000 0.000
Na 0.000 0.500 0.500
Na 0.500 0.000 0.500
Na 0.500 0.500 0.000
Hf 0.500 0.500 0.500

Computed properties:
- VASP energy: -2.07 eV per atom
- Energy of formation: 1.06 eV per atom



YZn2Au: optimized geometry, GGA-PBEsol.

a b c (Å): 4.110 4.110 4.442
angles (deg): 90.00 90.00 90.00
Atoms (fractional coordinates):
Y 0.000 0.000 0.000
Zn 0.000 0.500 0.500
Zn 0.500 0.000 0.500
Au 0.500 0.500 0.000

Computed properties:
- VASP energy: -3.85 eV per atom
- Energy of formation: -0.37 eV per atom



ZnTe2: optimized geometry, GGA-PBEsol.

a b c (Å): 3.158 3.158 15.218
angles (deg): 90.00 90.00 90.00
Atoms (fractional coordinates):
Zn 0.000 0.000 0.000
Zn 0.500 0.500 0.500
Te 0.000 0.000 0.362
Te 0.000 0.000 0.638
Te 0.500 0.500 0.138
Te 0.500 0.500 0.862

Computed properties:
- VASP energy: -2.66 eV per atom
- Formation energy (no corrections): 216 meV per atom

~~~~~

(1)
A relaxed structure of Pr6Pd2Cl, computed with GGA-PBE.

Lattice parameters (Å, degrees): 6.8013 7.5479 12.4186 90.00 122.17 90.00
Last column: nearest neighbours and their distance in Å.
Space group P2_1/c (No. 14)
Asymmetric unit:
Pr: 0.0790 0.1889 0.4286 [4 per cell]  1 Cl 2.88, 2 Pd 3.01-3.05
Pr: 0.2624 0.6643 0.4300 [4 per cell]  1 Cl 2.88, 2 Pd 2.99-3.02
Pr: 0.4070 0.0367 0.2435 [4 per cell]  1 Cl 2.91, 2 Pd 3.03
Pd: 0.1706 0.1227 0.7425 [4 per cell]  6 Pr 2.99-3.05
Cl: 0.5000 0.0000 0.5000 [2 per cell]  6 Pr 2.88-2.91

Computed properties:
- ΔE_f (raw): -0.66 eV/atom

(2)
A relaxed structure of Pr2PdCl2, computed with GGA-PBE.
*/

Forth, I wish to remind everyone that there is a pinned post in the hexbear community that allows users to nominate a federated instance for defederation, it can be found here: https://hexbear.net/post/277518

In closing, we would like to state that this post is also a space for Hexbear users to comment on how federation has been for them.

As we are in one of those weeks when decades happen on this site, your feedback is crucial to us in deciding the direction of this forum. As such, we ask of you two questions:

  1. What are your thoughts on the Fediverse, and how has your experience changed through federation?

  2. What would you like to be done going forward, in an ideal situation?

Once this feedback is collected, we will sift through the answers to find the most popular measures advocated for, as well as the overtones of the experiences submitted, and plan what is to be done accordingly.


Other instance users, if you comment on this thread, you will be banned from hexbear and your comment will be removed.

  • Egon [they/them]
    10 months ago

    Yeah exactly, those are the vibes I think of when I think of hexbear pre-federation. The romanov thread isn't even that bad, and there's not really anyone being wrong in it. Just a lot of people misrepresenting/misinterpreting each others standpoints.

    A lot of users on this site are very well read and have a solid foundation of their ideology, and they are used to reconsidering their stance and looking inwards. A lot of other users aren't.

    There's a large subset of the userbase that, but for the grace of god, would have been libs. They are so convinced that they are on the right side, that any disagreement with them must mean the other user is a wrecker, a chud, a lib or something the like. When they experience disagreement they assume the worst and then dig their heels in, so they can get that sweet dunk dopamine. I think that's a result of our community having been insular for quite a while. We all know [ideology/current event/science], so theres no real reason to know it personally, because we can trust our comrades to do the work for us. With that base attitude self-crit doesn't occur, it's just something other people have to do.


    I've been dogpiled a few times and every time was incredibly infuriating, because it was done by long-time users that chose the worst possible interpretation of what was communicated and refused to consider wether they themselves might just have been a tiny bit wrong or misunderstood something. It was dogpiling not for being wrong, but because they misunderstood something. :::

    That culture leads to a lot of people carrying grudges, and then you stumble into it like an outsider and it's just weird and pointless.

    • nat_turner_overdrive [he/him]
      10 months ago

      The desire to dunk is definitely a defining characteristic of this community. I avoid struggle sessions but I still get into weird arguments, usually when I see someone saying they don't understand x conservative idea, so I try to explain it with the intention that we should understand our opponents. Then the person I'm trying to explain it to puffs up thinking they've got a chud and just keep trying to make me justify the belief I keep telling them I don't agree with.

      • Egon [they/them]
        10 months ago

        yea been there, it's frustrating and then others join in to dunk on the chud that you aren't